Law Yuk-mui is a multidisciplinary artist, currently lives and works between Japan and Hong Kong.
Graduated from The Chinese University of Hong Kong with a Master of Fine Arts (MFA). She is the co-founder and deputy director of the artist-run organisation Rooftop Institute (2016-2022).
Using performative video and sound installation as her mediums of preference, and adopting the methodology of field study and collecting, she often intervenes in the mundane space and daily life of the city and catches the physical traces of history, psychological pathways of human, the marks of time and the political power in relation to geographic space. Law often digs beyond the surface, through which she would recover fragments of narratives and micro histories. She is also sensitive to remnants in the art making process and finds imaginative ways to re-use and reactivate these things.
Law Yuk-mui have been named to Foundwork Artist Prize 2021 short list, and received The Awards for young artist (media art category) of Hong Kong Arts development Awards and the Excellence Award (Media Art Category) of The 23rd ifva Awards in 2018.
羅玉梅畢業於香港中文大學藝術碩士,是藝術家營運機構「 天台塾 」創辦人之一。創作以展演性錄像及聲音裝置藝術置為主要媒介。常以田野調查和搜集為方法,介入城市空間及日常,捕捉歷史的物理痕跡、人的心理軌跡、時間的形跡與地緣政治的關係。羅玉梅亦擅於挖掘表層下的細碎敘事與物事,鉤沉微歷史,以及重新想像創作的剩餘物,賦予其全新意義。
羅玉梅入圍2021 Foundwork Artist Prize 最終候選名單, 於2018年同時獲香港藝術發展局藝術新秀獎(媒體藝術)和第十五屆ifva獨立短片及影像媒體比賽(媒體藝術組)傑出作品獎。
2010年香港中文大学美術学部修士課程を修了しました。パフォーマンスや、映像・サウンドを用いたインスタレーションを中心に創作をしています。フィールドリサーチを駆使することで、都市空間と日常生活の中から歴史の痕跡や人々の心理的軌跡、時間の形跡、地政学などの関係を掬いだすことを主題としています。またより深く掘り下げそこから小さな断片を掘り起こし、そのミクロストリアに触れてそれらを再構成することでそこに新たな意味を創造します。2021年, ニューヨークのFoundwork Artist Prizeのファイナリストに選ばれた、2018年に香港芸術発展賞の「若手アーティスト賞」(メディアアートカテゴリー)と第23回ifvaアワードの優秀賞を受賞した。
ロウ・ユックムイさんの作品はよく「水域」をテーマにして、香港の地理を描き出している。例えば「ヴィクリアの東」は干拓で消滅した海を探す。「潮が流れてくる方向」は海を渡った、国境を越える人の移動の物語を記述する。 「水域」が彼女の作品では、香港の地理と地政学を表す主な要素であるだけではなく、個人の記憶とアイデンティティーと感情も反映している。 ——「川の上では誰も歌わない」の展覧会図録、瞿暢 (クー・チャング)「So Much Water」から 抜粋)
Academic Background
BA Fine arts, The Chinese University of Hong Kong
MFA Fine arts, The Chinese University of Hong Kong
Special commission
(I stay quiet as a stone),「from there to here」.
cross-media performances at Danceless Complex 2003, commissioned by Unlock Dancing Plaza.
**Inserted here: quantum chemistry results:**
- - -
Computed, not measured: a 11-piece molecular cluster, C96H228Cl2N4O4P5 overall, with ωB97M-V/def2-TZVPD.

Atoms and positions in Å:
C 30.00903 23.25204 36.63669
C 30.29058 21.89630 35.99049
C 29.28940 21.73760 34.83495
C 29.49372 20.25252 34.38724
P 28.20151 19.66436 33.17314
C 27.83328 20.99707 31.97056
C 26.82831 20.67030 30.84540
C 26.79714 21.82731 29.82155
C 26.08033 23.02851 30.44586
C 26.67828 19.34925 34.05772
C 26.26475 20.40371 35.16016
C 24.89772 20.19353 35.76740
C 24.73118 18.79854 36.37425
C 28.69940 18.21023 32.21146
C 29.62134 17.29048 33.00941
C 29.95740 16.00299 32.19734
C 30.28773 16.33651 30.77756
H 28.91974 23.42950 36.86794
H 30.36391 24.03403 35.99342
H 30.62106 23.40753 37.51015
H 30.09818 21.21414 36.77436
H 31.27454 21.74640 35.59773
H 29.51295 22.46684 34.06051
H 28.28174 21.81920 35.24002
H 29.40090 19.51643 35.24793
H 30.48408 20.12224 34.05871
H 28.71875 21.39261 31.44657
H 27.52149 21.95911 32.49429
H 25.81876 20.56749 31.29514
H 27.12634 19.75157 30.34592
H 26.24366 21.47264 28.99826
H 27.80989 22.08159 29.45181
H 25.98870 23.88441 29.72983
H 26.74640 23.39596 31.19481
H 25.10645 22.76779 30.94263
H 26.82164 18.34910 34.58190
H 25.86197 19.26157 33.28899
H 26.29711 21.41431 34.81786
H 27.06346 20.36118 35.90949
H 24.04874 20.48122 35.10146
H 24.79441 21.00777 36.58472
H 25.47924 18.51187 37.12307
H 24.78456 18.14315 35.46641
H 23.79395 18.67916 36.85572
H 29.05120 18.46884 31.21276
H 27.79393 17.68118 32.00129
H 29.13284 16.99062 33.94535
H 30.51110 17.80965 33.32140
H 29.16374 15.28833 32.23840
H 30.78672 15.68824 32.82216
H 29.43974 16.74263 30.34168
H 30.49196 15.40034 30.30138
H 31.13686 17.01822 30.57412
C 21.54680 32.28031 18.49617
C 22.86322 31.53475 18.31953
C 23.18679 30.80430 19.61914
C 23.28345 31.71586 20.78869
P 23.56534 30.84806 22.41438
C 23.75475 32.11938 23.70608
C 22.84783 33.32616 23.47698
C 22.84701 34.32770 24.66467
C 21.73275 35.36225 24.51040
C 22.34197 29.52861 22.87185
C 20.94598 30.01008 23.36477
C 20.03214 30.11648 22.13036
C 18.65190 30.68684 22.55334
C 25.09374 29.98280 22.03062
C 25.88530 29.67013 23.32117
C 27.38193 29.28713 22.97492
C 27.45526 27.84954 22.36816
H 21.58083 33.13060 19.18836
H 20.82933 31.52125 18.83207
H 21.07148 32.62638 17.62560
H 23.61187 32.31194 18.06156
H 22.68724 30.81252 17.57118
H 24.05445 30.16840 19.49007
H 22.34987 30.08829 19.61648
H 22.37798 32.30303 20.79986
H 24.15424 32.33944 20.75622
H 24.78155 32.46210 23.74271
H 23.62471 31.59598 24.63301
H 21.78846 33.01888 23.34137
H 23.12107 33.87935 22.58834
H 23.83527 34.72263 24.65202
H 22.76033 33.85997 25.61233
H 20.78556 34.81050 24.40742
H 21.80304 35.94244 23.59376
H 21.69131 36.03367 25.35153
H 22.86930 28.96727 23.68154
H 22.36356 28.86292 21.99906
H 20.96136 30.97221 23.91103
H 20.54529 29.23474 24.00023
H 19.86015 29.13349 21.72394
H 20.42350 30.75024 21.31766
H 18.81078 31.68428 22.99424
H 18.30488 29.99111 23.31717
H 17.92047 30.79046 21.80281
H 25.71754 30.73662 21.55900
- - -
**So much for the quantum chemistry results:**
I Talk like a River , Sound Forms 2022, Bounding in Void (curated by Contemporary Musiking Hong Kong) ,Tai Kwun Contemporary, Hong Kong.
Pastiche, Medialogue, Hong Kong Visual Art Center.
From whence the waves came, commissioned by Parasite Art Space, Hong Kong.
Archiving The Mills Through The Lens, commissioned by Centre for Heritage, Arts and Textile (CHAT), Hong Kong.
Shark Eats Shadow, commissioned by Hong Kong Youth Art Foundation.
Here are the years that walk between, Hong Kong Sinfonietta special commission, Artis Tree, Tai koo Place, Hong Kong
Solo Exhibitions
Take Me to the River, Draw me a star, Tomorrow Maybe, Hong Kong.
Song of the Exile, Dreeem Lab, Hong Kong.
Goodbye, See You Again, Victoria East, Taipei Digital Art Centre.
There is No One Singing On The River, Oil Street Art Space, Hong Kong.
From whence the waves came, Parasite’s Booth in Art Basel Hong Kong.
Victoria East, Videotage, Cattle depot, Hong Kong.
Selected Group Exhibitions
Nomadic, Jim Thompson Art Center, Bangkok
Objects Remind of You, Taipei, Taiwan
State-less 無國界, Two Temple Place, London, British
Blue throat – Start the Churning, Art Central 2023, Hong Kong
The Drifts, VT Artsalon, Taipei, Taiwan
HOMELAND in TRANSIT , MOMENTUM, Kunstquartier Bethanien, Berlin
Michikusa: Walks with the Unknown, Art Tower Mito, Japan
SEA BREEZE: Para Site x Biennale Jogja, Koesnadi Hardjasoemantri Cultural Center, Gadjah Mada University, Yogyakarta, Indonesia
BETWEEN STRIPES AND SCRATCHES: Biennale Jogja XV Fringe Event, Galeri Lorong, Yogyakarta,Indonesia.
「最」大展 ‘THE’ Survey Exhibition, Cattle depot, Hong Kong.
The 23rd ifva Festival, Media Art Category Finalist Exhibition, Pao Gallery, Hong Kong Art Center.
Future Life Handbook, Redtory Museum of Contemporary Art, Guangzhou, China.
Talkover/Handover 2.0, 1a space, Cattle depot, Hong Kong.
Busan International Short Film Festival (BISFF), “Landscape of Asian Shorts” session.
Time Test: International Video Art Research Exhibition,co-presented by CAFA Art Museum and Eli and Edythe Broad Art Museum, Beijing; Redtory Museum of Contemporary Art, Guangzhou
A Room with a View, 5th Singapore International Photography Festival (SIPF), Earl Lu Gallery, Institute of Contemporary Arts Singapore, Lasalle College of the Arts.
Both Sides Now ii – it was the best of times it was the worst of times, Britain, China, Hong Kong.
A Room with A View – Her Hong Kong stories through the lens of six female artists, Koo Ming Kown Exhibition Gallery, CVA Building, Hong Kong Baptist University.
All About Poetry, Southern District Literature Day, Hong Kong Youth Arts Foundation special commission, Aberdeen Typhoon Shelters,Hong Kong.
The Scarlet Bauhinia in Full Bloom, AJC, Hong Kong
[en]counters 2014 (“Is there love in this air?”), Mumbai, India
Sound of image, The cattle depot, Hong Kong
Here are the years that walk between, Hong Kong Sinfonietta special commission, Artis Tree, Tai koo Place, Hong Kong
Hong Kong Contemporary Art Award 2013, Hong Kong Museum of Art, Hong Kong
Hong Kong Artwalk Extra
2nd Beijing International Film Festival, China
Second Hand Material Original Works 2, Fotanian Open Studio 2012, Hong Kong
Second-Hand Material Original Works: Hong Kong Experimental Shorts, Videotage, Hong Kong
The Kuala Lumpur Experimental Film and Video Festival (KLEX), Malaysia
Asian Experimental Video Festival in Macao (EXiM 2011 ), OXwarehouse, Macau
A Wedding, Para/Site Art Space, Hong Kong
The 16th Hong Kong Independent Short Film & Video Awards (IFVA), Hong Kong Art Center, Hong Kong
Moontage in Moonlife concept store, ArtHub Asia, Shanghai, China
You Are Here, I Am Not – From Ho Siu Kee to Kong Chun Hei, Lui Chun Kwong and students group Exhibition, Osage, Hong Kong
inter-city, Art in Busan 2009, Busan, South Korea
FENG YU PIAO YAO AI GUO SHI, Artist Commune, the Cattle Depot, Hong Kong
The Alchemy of Shadows, Third LianZhou International photo Festival, LianZhou, China
Think after ink, Blue Lotus Gallery, Fotan. Hong Kong
Reversing Horizons – Artists reflections of the Hong Kong handover 10th anniversary, Museum of contemporary Art (MoCA), Shanghai, China
Amusement Park, Art Beatus Gallery, Hong Kong
Away- Group Exhibition of contemporary visual artists, 1A space, The cattle depot, Hong Kong
Hong Kong Art Biennial Exhibition 2005, Hong Kong Museum of Art
The circuit exhibitions of Philippe Charriol Foundation 20th Anniversary Art Competition,Philippe Charriol Foundation
Art market 2004,Parasite art space, Hong Kong
Foundwork Artist Prize (shortlist)
Awards for young artist (media art category), Hong Kong development council
What comes next are quantum chemistry results, not part of the article:
- - -
# 1
ORCA calculation (ωB97M-V/def2-TZVPD) on a molecular structure, C45H43F4N6P2Se2Y.

For the max |F|, the calculation gives 0.7 eV Å⁻¹. The spin multiplicity is 1. The value obtained for the HOMO-LUMO gap is 0.2875 Ha. As for the total charge: 0.

XYZ file:
```
103
Properties=species:S:1:pos:R:3:lowdin_charge:R:1
Y -0.015 0.689 -0.147 1.3522
C 0.931 -0.821 -3.647 -0.0864
N -0.297 -0.663 -2.874 -0.2866
C -1.395 -0.332 -3.779 -0.0882
C -0.637 -1.888 -2.149 -0.2158
C 0.511 -2.397 -1.293 -0.2376
N 1.078 -1.270 -0.571 -0.1695
C 2.327 -1.384 -0.054 -0.2421
C 3.039 -0.203 0.217 -0.1465
F 2.409 0.987 -0.117 -0.0215
C 4.285 -0.148 0.787 -0.2257
F 4.852 1.046 1.007 0.0968
C 4.955 -1.311 1.112 0.0619
C 4.299 -2.499 0.846 -0.2151
F 4.896 -3.657 1.157 0.0956
C 3.035 -2.550 0.291 -0.1410
F 2.459 -3.758 0.138 0.0851
H 0.876 -1.684 -4.328 0.0979
H 1.088 0.073 -4.248 0.0671
H 1.788 -0.946 -2.987 0.0774
H -1.524 -1.115 -4.541 0.0948
H -2.322 -0.220 -3.221 0.0794
H -1.190 0.612 -4.279 0.0699
H -1.514 -1.664 -1.526 0.1157
H -0.945 -2.686 -2.843 0.1271
H 0.127 -3.181 -0.633 0.1184
H 1.263 -2.872 -1.932 0.1159
H 5.938 -1.296 1.556 0.1338
Se -3.704 5.497 3.502 0.3201
P -1.728 5.029 4.054 0.5351
C -1.619 4.222 5.684 -0.3285
C -0.466 4.342 6.461 -0.0728
C -0.446 3.849 7.755 -0.0833
C -1.567 3.214 8.275 -0.0897
C -2.706 3.070 7.498 -0.0733
C -2.738 3.585 6.210 -0.1098
C -0.633 6.466 4.214 -0.3541
C -1.188 7.665 4.648 -0.0943
C -0.375 8.767 4.865 -0.0737
C 0.992 8.677 4.646 -0.0807
C 1.547 7.484 4.204 -0.0753
C 0.738 6.379 3.986 -0.1013
C -0.894 3.984 2.839 -0.4248
C -0.653 2.625 2.652 -0.4281
N -0.107 2.514 1.416 -0.1662
N -0.035 3.722 0.880 -0.0355
N -0.501 4.614 1.708 0.0298
P -0.860 1.108 3.571 0.6573
Se -0.036 -0.551 2.453 0.4209
C -2.607 0.839 3.896 -0.3511
C -3.557 1.740 3.431 -0.0983
C -4.905 1.500 3.663 -0.0638
C -5.300 0.362 4.345 -0.0662
C -4.351 -0.555 4.786 -0.0690
C -3.008 -0.326 4.553 -0.1112
C 0.073 1.241 5.107 -0.3553
C -0.405 0.759 6.317 -0.0804
C 0.434 0.729 7.423 -0.0806
C 1.735 1.191 7.324 -0.0765
C 2.207 1.696 6.117 -0.0666
C 1.382 1.713 5.007 -0.0913
H 0.407 4.849 6.071 0.1025
H 0.445 3.964 8.358 0.1100
H -1.551 2.836 9.289 0.1078
H -3.583 2.580 7.901 0.1077
H -3.640 3.527 5.614 0.0598
H -2.259 7.731 4.796 0.0737
H -0.812 9.699 5.199 0.1049
H 1.625 9.539 4.809 0.1031
H 2.611 7.415 4.016 0.1044
H 1.174 5.459 3.620 0.1005
H -3.271 2.631 2.888 0.0579
H -5.634 2.215 3.305 0.1123
H -6.351 0.177 4.525 0.1071
H -4.662 -1.456 5.299 0.1072
H -2.272 -1.061 4.859 0.1029
H -1.429 0.421 6.410 0.0970
H 0.060 0.353 8.366 0.1120
H 2.386 1.165 8.188 0.1081
H 3.222 2.064 6.039 0.1088
H 1.756 2.079 4.057 0.1114
C 0.299 3.093 -4.749 -0.0987
N 0.320 3.774 -3.471 -0.2623
C 1.612 4.390 -3.234 -0.0976
C -0.057 2.914 -2.372 -0.2232
C -1.529 2.550 -2.261 -0.2764
C -2.489 3.234 -2.992 -0.0530
C -3.835 2.919 -2.838 -0.0888
C -4.215 1.948 -1.926 -0.1106
C -3.242 1.298 -1.170 -0.1647
C -1.878 1.562 -1.318 -0.2519
H 0.516 3.803 -5.548 0.0876
H -0.685 2.664 -4.933 0.0693
- - -
Excellence Award, Media Art Category, The 23rd ifva Awards, Hong Kong
The selected entries of Hong Kong Contemporary Art Award 2013
Jury Recommendation, Open Category, 16th IFVA Awards, Hong Kong
The dean’s List of 2005-2006 for outstanding Academic performance (Faculty of Arts)
Alfred S.U. Ho Memorial Prize 2005/2006
Cheung’s Fine Art Award 2005-2006
The Chinese University of Hong Kong, Creativity Student Award
The selected entries of Hong Kong Art Biennial 2005-2006
Philippe Charriol Foundation 20th Anniversary Art Competition
1ST runner-up
HKADC Delegation in Gwangju Biennale 2016, Hong Kong Arts Development Council
Mayching Kao Fine Arts Fund
Friend’s of art museum Research Grant
Philippe Charriol Foundation (Switzerland)
Annie Wong Art Foundation (Hong Kong)
Private collection (Hong Kong/ Oversea)
Yiqingzhai collection (Hong Kong)
Pierpaolo Barzan (Italy)
Art Beatus Gallery (Hong Kong/ Canada)
Jury and facilitator
2046 Fermentation + Fellowships (Parasite Hong Kong)
Archive and Preservation
Videotage Media Art Collection (VMAC)